- I am afraid I can't return the book to you before Friday. ___
# Unrelated to this page: crystal structures
-- begin --
Structure and calculated PXRD pattern of Be17CrCo (a PBE-relaxed structure; Cu Kα X-rays).
Intensities are scaled so that the largest is 100.

a = 7.1509 Å, b = 7.1509 Å, c = 10.5613 Å
α = 90.00°, β = 90.00°, γ = 120.00°
Space group R3m (No. 160, hexagonal axes)
Asymmetric unit:
Be: 0.0000 0.0000 0.0517 x3
Be: 0.0000 0.0000 0.2553 x3
Be: 0.0004 0.5002 0.0000 x9
Be: 0.0033 0.3090 0.1519 x18
Be: 0.0077 0.5039 0.6492 x9
Be: 0.0125 0.5062 0.3077 x9
Cr: 0.0000 0.0000 0.8156 x3
Co: 0.0000 0.0000 0.4835 x3

The 6 most intense peaks (5 to 70 degrees two-theta), most intense first:
- 2θ = 35.80°, I 100
- 2θ = 24.90°, I 85
- 2θ = 51.31°, I 69
- 2θ = 16.59°, I 55
- 2θ = 43.86°, I 44
- 2θ = 22.12°, I 37

---

Structure and calculated PXRD pattern of Zn2CoB2 (a PBE-relaxed structure; Cu Kα X-rays).
Intensities are scaled so that the largest is 100.

a = 5.418 Å, b = 5.418 Å, c = 3.418 Å
α = 90.00°, β = 90.00°, γ = 90.00°
Space group P4/mbm (No. 127)
Asymmetric unit:
Zn: 0.197 0.303 0.000 x4
Co: 0.000 0.000 0.500 x2
B: 0.109 0.609 0.500 x4

The 6 most intense peaks (5 to 70 degrees two-theta), most intense first:
- 2θ = 42.59°, I 100
- 2θ = 45.91°, I 44
- 2θ = 37.11°, I 26
- 2θ = 47.47°, I 26
- 2θ = 35.19°, I 26
- 2θ = 53.63°, I 19

---

Structure and calculated PXRD pattern of Np2MnAl2Si4 (a PBE-relaxed structure; Cu Kα X-rays).
Intensities are scaled so that the largest is 100.

a = 5.921 Å, b = 5.921 Å, c = 8.385 Å
α = 90.00°, β = 90.00°, γ = 90.00°
Space group I4/mmm (No. 139)
Asymmetric unit:
Np: 0.000 0.500 0.250 x4
Mn: 0.000 0.000 0.000 x2
Al: 0.000 0.000 0.282 x4
Si: 0.224 0.224 0.500 x8

The 6 most intense peaks (5 to 70 degrees two-theta), most intense first:
- 2θ = 30.17°, I 100
- 2θ = 21.21°, I 62
- 2θ = 37.18°, I 56
- 2θ = 53.59°, I 39
- 2θ = 43.19°, I 39
- 2θ = 48.60°, I 33

---

Structure and calculated PXRD pattern of SbMoAs2 (a PBE-relaxed structure; Cu Kα X-rays).
Intensities are scaled so that the largest is 100.

a = 8.868 Å, b = 3.300 Å, c = 6.310 Å
α = 90.00°, β = 109.31°, γ = 90.00°
Space group Cm (No. 8)
Asymmetric unit:
Sb: 0.000 0.000 0.000 x2
Mo: 0.120 0.500 0.389 x2
As: 0.187 0.000 0.720 x2
As: 0.330 0.000 0.371 x2

The 6 most intense peaks (5 to 70 degrees two-theta), most intense first:
- 2θ = 34.45°, I 100
- 2θ = 45.69°, I 88
- 2θ = 40.71°, I 49
- 2θ = 39.52°, I 44
- 2θ = 31.12°, I 43
- 2θ = 21.54°, I 38

---

Structure and calculated PXRD pattern of Zn2CoRu (a PBE-relaxed structure; Cu Kα X-rays).
Intensities are scaled so that the largest is 100.

a = 3.885 Å, b = 3.885 Å, c = 6.997 Å
α = 90.00°, β = 90.00°, γ = 90.00°
Space group I-4m2 (No. 119)
Asymmetric unit:
Zn: 0.000 0.000 0.000 x2
Zn: 0.000 0.500 0.250 x2
Co: 0.000 0.500 0.750 x2
Ru: 0.000 0.000 0.500 x2

The 6 most intense peaks (5 to 70 degrees two-theta), most intense first:
- 2θ = 41.81°, I 100
- 2θ = 46.77°, I 36
- 2θ = 52.30°, I 13
- 2θ = 68.29°, I 11
- 2θ = 26.24°, I 4
- 2θ = 32.60°, I 2

---
-- stop --
A. Don't be afraid
B. Be careful
C. Not at all
D. Take your time
- I really don't know how to thank you enough. ___.
A. No problem
B. Think nothing of it
C. Not at all
D. It doesn't matter
- Must I be home before seven? ___.
A. No, you needn't
B. No, you mustn't
C. Yes, you will
D. No, you won't
-I'm sorry to hear that you failed in the exam______.
Here the page breaks off for crystal structures:
Theoretical powder X-ray diffraction pattern
Compound: Li9Mn2Co5O16
Radiation: Cu Ka
Structure: the GGA+U geometry in the Materials Project
Peak positions follow from Bragg's law for the DFT cell and can differ from measured ones.

Cell and atoms:
```
data_Li9Mn2Co5O16
_cell_length_a 5.130
_cell_length_b 7.694
_cell_length_c 7.793
_cell_angle_alpha 82.58
_cell_angle_beta 83.90
_cell_angle_gamma 71.87
_symmetry_space_group_name_H-M 'P 1'
_symmetry_Int_Tables_number 1
loop_
_symmetry_equiv_pos_as_xyz
'x,y,z'
loop_
_atom_site_label
_atom_site_fract_x
_atom_site_fract_y
_atom_site_fract_z
_atom_site_occupancy
Li1 0.000 0.000 0.000 1
Li2 0.000 0.251 0.253 1
Li3 0.002 0.386 0.861 1
Li4 0.003 0.495 0.515 1
Li5 0.004 0.624 0.124 1
Li6 0.005 0.878 0.383 1
Li7 0.010 0.745 0.755 1
Li8 0.504 0.440 0.687 1
Li9 0.996 0.126 0.629 1
Mn1 0.498 0.939 0.193 1
Mn2 0.507 0.561 0.316 1
Co1 0.495 0.195 0.449 1
Co2 0.500 0.064 0.813 1
Co3 0.506 0.313 0.056 1
Co4 0.507 0.677 0.933 1
Co5 0.507 0.806 0.570 1
O1 0.267 0.268 0.650 1
O2 0.270 0.535 0.918 1
O3 0.273 0.142 0.044 1
O4 0.274 0.903 0.784 1
O5 0.275 0.026 0.397 1
O6 0.281 0.412 0.280 1
O7 0.283 0.658 0.519 1
O8 0.283 0.776 0.168 1
O9 0.720 0.848 0.985 1
O10 0.721 0.092 0.226 1
O11 0.726 0.726 0.336 1
O12 0.729 0.212 0.858 1
O13 0.732 0.475 0.104 1
O14 0.733 0.972 0.594 1
O15 0.734 0.358 0.454 1
O16 0.746 0.607 0.723 1
```

Principal peaks in the range 2θ = 10–90°, most intense first:
2θ/deg	d_spacing	I_rel
18.2	4.863	100
43.0	2.102	29
43.4	2.085	28
43.9	2.061	27
62.7	1.482	15
62.9	1.478	15
35.6	2.520	14
35.9	2.504	14

Theoretical powder X-ray diffraction pattern
Compound: MgMn6O7F5
Radiation: Cu Ka
Structure: the GGA+U geometry in the Materials Project
Peak positions follow from Bragg's law for the DFT cell and can differ from measured ones.

Cell and atoms:
```
data_MgMn6O7F5
_cell_length_a 5.122
_cell_length_b 5.675
_cell_length_c 7.780
_cell_angle_alpha 87.21
_cell_angle_beta 85.14
_cell_angle_gamma 82.71
_symmetry_space_group_name_H-M 'P 1'
_symmetry_Int_Tables_number 1
loop_
_symmetry_equiv_pos_as_xyz
'x,y,z'
loop_
_atom_site_label
_atom_site_fract_x
_atom_site_fract_y
_atom_site_fract_z
_atom_site_occupancy
Mg1 0.000 0.000 0.000 1
Mn1 0.033 0.599 0.799 1
Mn2 0.048 0.919 0.463 1
Mn3 0.192 0.400 0.204 1
Mn4 0.512 0.134 0.810 1
Mn5 0.513 0.785 0.124 1
Mn6 0.592 0.488 0.494 1
O1 0.207 0.651 0.024 1
O2 0.212 0.190 0.391 1
O3 0.318 0.687 0.339 1
O4 0.321 0.138 0.045 1
O5 0.357 0.423 0.710 1
O6 0.718 0.837 0.906 1
O7 0.890 0.653 0.576 1
F1 0.197 0.944 0.734 1
F2 0.733 0.128 0.577 1
F3 0.772 0.471 0.233 1
F4 0.801 0.949 0.230 1
F5 0.834 0.304 0.901 1
```

Principal peaks in the range 2θ = 10–90°, most intense first:
2θ/deg	d_spacing	I_rel
27.9	3.192	100
24.0	3.706	63
33.6	2.671	37
33.7	2.660	34
34.3	2.612	28
37.8	2.378	26
52.5	1.742	25
58.9	1.567	23

Theoretical powder X-ray diffraction pattern
Compound: Al3FeSiBO9
Radiation: Cu Ka
Structure: the GGA+U geometry in the Materials Project
End of the crystal structures:
A. Not at all
B. Oh, thank you.That's very kind of you
C. You are welcome
D. Yes, I'm really sorry
-I will,______.
A. that's all right
B. thank you
C. all right
D. not at all
-Hello, may I speak to Zhao Hua?_____.
A. My name is Zhao Hua
B. I'm Zhao Hua
C. This is Zhao Hua speaking
D. Zhao Hua is me
___This is Mr Smith speaking now.
A. Who are you
B. Who is that
C. Who are you calling
D. What do you want to say
- I was worried about my maths, but Mr. Brown gave me an A.___
A. Don't worry about it.
B. Congratulations! That's a difficult course.
C. Mr. Brown is very good.
D. Good luck to you!
-Would you go to the concert with me?___, but I'm very busy now.
A. I'd like to
B. Sure
C. No problem
D. Certainly
-I'll be away on a business trip. Would you mind looking at my cat?Not at all. _______.
A. I have no time
B. I'd rather not
C. You can leave
D. I'd be happy to
- Hi, Jim! Nice to meet you.____.
A. Certainly
B. Many thanks
D. Nice to meet you, too
- Hello, may I speak to Mike?_____
A. Who are you?
B. Sorry, he isn't in.
C. Thank you very much.
D. Yes, here you are.
- Will you join us for lunch?____.
A. No, I won't
B. Yes, with pleasure
C. Yes, please
D. Yes, help yourself
- Thank you for your great dinner. I really enjoyed it._____you enjoyed it.
A. I'm so glad
B. I'm sorry
C. What a pity
D. Surprisingly
- I heard Susan surprised her teacher by working hard. Yes, ___
A. her teacher worked hard.
B. Susan worked hard.
C. the teacher was surprising.
D. Susan was surprised.
- Peter, don't step on the grass_______.
A. It doesn't matter
B. I can't do it
C. Don't worry
D. Sorry, I won't do it again
- How was your journey to Paris? - ____
A. It went very well.
B. I flew there.
C. I love Paris.
D. Thank you for asking.
- I'm sorry for being late, Mr Lt______.
A. All right
B. That's right
C. Not at all
D. Never mind
- Happy birthday to you! ___!
A. Happy birthday to you
B. I'm very glad
C. That's all right
D. Thank you
- Do you like country music?___.
A. Yes, I like basketball a lot
B. It's far too crowded
C. Yes, I'm crazy about it
D. Oh, it's funny
- Have a cup of tea, ____? Thanks a lot.
A. don't you
B. haven't you
C. shall we
D. will you
- Thank God.It's Friday again.A nice weekend!___.
A. Me too
B. Yes,I'll be free then
C. That's all right
D. The same to you
— Write to me when you get home. OK, I ______.
A. must
B. should
C. will
D. can
Tom is so talkative. I’m sure you'll soon get tired ___ him.
A. of
B. with
C. at
D. on
I don't know ____ to deal with such matter.
A. what
B. how
C. which
D. /
___ is your girl friend like? She is very kind and good-looking.
A. How
B. What
C. Which
D. Who
He ___ driving me home, even though I told him I lived nearby.
A. insisted on
B. insisted at
C. insisted that
D. insisted in
We came finally ___the conclusion that she has been telling lies all the time.
A. of
B. into
C. to
D. at
I won’t make the___mistake next time.
A. like
B. same
C. near
D. similar
He ___lives in the house where he was born.
A. already
B. yet
C. still
D. ever
I am not used to speaking ___ public.
I didn’t know what to do, but then an idea suddenly ___to me.
A. appeared
B. happened
C. occurred
D. emerged
Measles (麻疹) ___ a long time to get over.
A. spend
B. spends
C. take
D. takes
A pair of spectacles ___ what I need at the moment.
A. is
B. are
C. has
D. have
— Five days ___ too long for me to wait.
A. was
B. were
C. is
D. are
You had better ___ a doctor as soon as possible.
A. seeing
B. saw
C. see
D. seen
The boy is not happy at the new school. He has ___ friends there.
A. few
B. a few
C. little
D. a little
I fell and hurt myself while I ___ basketball yesterday.
A. was playing
B. am playing
C. play
D. played
Tom ___ more than twenty pounds on the novel.
A. spent
B. paid
C. cost
D. took
Don't forget ____ the window before leaving the room.
A. to have closed
B. to close
C. having closed
D. closing
Twenty people were___ wounded in the air crash.
A. quickly
B. wrongly
C. bitterly
D. seriously
A. 肺不张
B. 气胸
C. 肺炎
D. 肺气肿
E. 胸膜粘连
A. 肺气肿
B. 支气管阻塞
C. 气胸
D. 肺实变
E. 胸腔积液
A. 肺气肿
B. 肺炎
C. 气胸
D. 急性肺水肿
E. 肺结核
A. 左锁骨中线第4肋间内侧0.5~1cm
B. 左锁骨中线第5肋间内侧0.5~1cm
C. 左锁骨中线第4肋间外侧0.5~1cm
D. 左锁骨中线第5肋间外侧0.5~1cm
E. 左锁骨中线第4肋间隙处
A. 二联律
B. 三联律
C. 二音律
D. 奔马律
E. 偶发期前收缩
A. 舒张期奔马律
B. 心室律极不规则
C. 心音强弱不一
D. 心率和脉率不一致
E. 脉搏短绌
A. 窦性心动过缓
B. 心房颤动
C. 心室颤动
D. 房室传导阻滞
E. 阵发性心动过速
A. 左锁骨中线内侧第5肋间隙处
B. 胸骨右缘第2肋间处
C. 胸骨左缘第3.4肋间处
D. 胸骨左缘第2肋间处
E. 胸骨下缘近剑突处
A. 左锁骨中线内侧第5肋间隙处
B. 胸骨右缘第2肋间处
C. 胸骨左缘第3.4肋间处
D. 胸骨左缘第2肋间处
E. 胸骨下缘近剑突处
A. 左锁骨中线内侧第5肋间隙处
B. 胸骨右缘第2肋间处
C. 胸骨左缘第3.4肋间处
D. 胸骨左缘第2肋间处
E. 胸骨下缘近剑突处
A. 舒张期奔马律
B. 心室律极不规则
C. 心音强弱不一
D. 心率和脉率不一致
E. 脉搏短绌
A. 大量胸腔积液
B. 肺内空洞
C. 肺气肿
D. 气胸
A. 肺泡呼吸音增强
B. 肺泡呼吸音减弱
C. 呼吸音延长
D. 异常支气管呼吸音
A. 在吸气时较多而明显
B. 在呼气时较多而明显
C. 啰音的响度及性质易变
D. 发生部位易变
A. 瓣膜关闭不全
B. 瓣膜狭窄
C. 心室颤动
D. 心房颤动
A. 绝对浊音界
B. 相对浊音界
C. 绝对浊音界加相对浊音界
D. 心上浊音界
A. 主动脉瓣狭窄
B. 肺动脉瓣狭窄
C. 主动脉瓣关闭不全
D. 二尖瓣狭窄
A. 第一心音音调低,时间较长
B. 当心脏舒张时,半月瓣关闭而产生
C. 在心底部最响
D. 听诊时出现在心尖搏动之后
A. 贫血
B. 非对称性室间隔肥厚
C. 主动脉瓣关闭不全
D. 心功能不全
A. 心尖部最响
B. 出现在舒张中晚期
C. 呈隆隆样
D. 常向左腋下传导
A. 清音
B. 实音
C. 浊音
D. 鼓音
E. 过清音
A. 肺结核
B. 肺气肿
C. 佝偻病
D. 慢性消耗性疾病
A. 自上而下
B. 自下而上
C. 乳头以下往下流,乳头以上往上流
D. 乳头以下往上流,乳头以上往下流
A. 胸壁局部软组织炎症或骨折
B. 大叶性肺炎
C. 胸膜炎
D. 支气管炎
A. 胸腔积液
B. 气胸
C. 急性白血病
D. 再生障碍性贫
A. 腹膜炎
B. 大量腹水
C. 妊娠晚期
D. 胸膜疾病
A. 胸式呼吸增强
B. 腹式呼吸增强
C. 腹式呼吸减弱
D. 胸式与腹式呼吸均增强
A. 呼气性呼吸困难
B. 吸气性呼吸困难
C. 混合性呼吸困难
D. 呼气时间延长
A. 前胸上部较下部弱
B. 前胸上部较下部强
C. 后胸上部较下部强
D. 左上胸较右上胸强
A. 有胸痛
B. 无胸痛
C. 胸痛可有可无
D. 无胸膜摩擦音
A. 过清音
B. 鼓音
C. 浊音
D. 空翁音
A. 胸腔积液
B. 肺萎缩
C. 腹水
D. 肺气肿
A. 门静脉高压
B. 腹膜炎
C. 幽门梗阻
D. 腹水
E. 腹腔肿瘤
A. 2次
B. 4次
C. 6次
D. 8次
E. 10次
A. 视诊
B. 触诊
C. 叩诊
D. 听诊
E. 嗅诊
A. 右上腹部
B. 左上腹部
C. 上腹部
D. 左腰部
A. 左上腹部
B. 左下腹部
C. 脐部
D. 右上腹部
A. 右上腹膨隆——原发性肝癌
B. 蛙状腹——腹内充气
C. 弥漫性腹部膨隆——巨大腹块
D. 下腹部隆起——早期妊娠